Posts Tagged "home security systems"

Don’t Be The Next Victim: Protect Yourself With A Home Security System

by Flex Alarms

Property crimes according to Tennesse’s statistics are very high in Nashville. The National Crime Statistics median is 27.3 and Nashville’s rate is 39.71. The Federal Bureau of Investigation (FBI) website indicated that burglary offences in Nashville are on the rise. However, other crimes such as vandalism, arson and robbery are also becoming more widespread. Having your house burglarized is more than just a burglar stealing your valuables and possibly damaging your home in the process.  The average loss per burglary in the U.S is $2230, and this does not account for the psychological costs to the homeowner, who is left feeling that their privacy was invaded and which subsequently causes them to live in fear.

It takes a burglar between an average of 8-12 minutes to enter your home and remove valuables such as: jewelry, cash, electronics, gold and guns. While it will take you the homeowner, years to probably forget the horrifying experience. Do you ask yourself am I going to be the next victim? When you learn of someone else’s burglary experience? There is no need too.

A Nashville Alarm System will provide the safety that you, your family and your home deserve.  In today’s sophisticated, technological world, alarm systems are not just equipped to ward off intruders. With access from your smart phone you could also call emergency personnel and control your lights as well.

Flex Alarm’s flex panel interactive security and control system, is the first security panel specifically designed for use with phones and tablets. An alarm system is also an efficient discouraging factor for burglars who might be targeting your home. With a Home Security System in Nashville, you home will have continuous protection, something you as a homeowner are unable to do around the clock.


  • Most burglars enter through the front door
  • 65% of burglaries happen between 6.00 am and 6.00pm
  • A burglar will target the master bedroom first.
  • A burglary could happen to you whether you live in the city or the suburbs.

It is your duty to safeguard your home and your family and it should be your number one concern whether you are at home or away.

Security Systems – Knowing The Real Vs Fake

by Flex Alarms

The odds of having your home burglarized is pretty high. Data from FBI crime report shows that the average of one in every thirty-six homes in the US will be broken into this year.

The concerning data from the National Crime Stats and Tennesse Crime Stats, have increased citizens rate of concern which in turn has driven up the demand for Home Security Alarm Systems in Nashville.This is a very promising sign for home security businesses.

It is common to have a home security salesperson come knocking on your door. They have to be convincing enough to peek your interest into listening to all the benefits of installing an Alarm System in your home.

While it maybe difficult to accept, some home security systems could be scams and therefore precautionary measures should be taken before welcoming a salesperson into your home.

Since we are on the topic of security, then it is worthy to mention the following:

  • Commercial solicitors wishing to conduct door-to-door sales in Nashville must obtain a permit and ID badge issued by the Metropolitan Clerk’s Office
  • Commercial door-to-door solicitors and sales are also prohibited at any addresses in Nashville if they are registered on Metro’s No Solicitation List or if a no solicitation or no trespassing sign is posted.

Aside from the above, there are also other behaviors to look for:

  • The salesperson may offer you a one-time deal and persuade you to sign a contract – watch this as there is always some hidden commitment for instance getting you to sing a long-term contract
  • If you are pressured by someone to let them into your home then you should ask them to leave. If they refuse to do so, then call the police
  • Don’t let them scare you with talks that there have been many recent burglaries in your neighborhood. Tell them you are part of the neighborhood watch program.
  • Request the following from them: the contractor’s name and license number, telephone number and which state the license was issued in. If they refuse consider it a red flag and terminate your contact with them.

You may already have a sign on your property for a Flex Alarm Home Security Service. A door-to-door salesperson may still target you, and try to convince you of the following:

  • They may imply they are from Flex Alarms and they are there to “upgrade” or “replace your current system. If you let them in without verifying identification information, they could install a whole new system and have you sign a costly contract for monitoring services
  • They may advise you that Flex Alarms is no longer in business and the have taken over the accounts. If you are faced with this situation, please contact us immediately.

Salespeople can use deceptive tactics to get new customers to buy an expensive and probably a sub-standard Home Security System in Nashville. Beware and don’t; be afraid to take the necessary steps to safeguard yourself and your family from these predators.

Crime Statistics in Tennessee Increase Sales of Home Security Systems

by Flex Alarms

An FBI statistical report of the number of crimes in each state in the United States in 2012, put Tennessee at the top of the list with 643.6 violent crimes per 100,000 people. These violent crimes range from burglary, property crime, larceny-theft to forcible rape and aggravated assault. While you may look at the statistics and think that does not seem to be much and that you will never be a victim of a burglary or other crime, chances are that each and every victim of a violent crime also thought that way before it happened. Why take chances?

A second report from the U.S. Bureau of Labor Statistics states that 28 homes out of 1000 get burglarized every year in the United States. For some reason, burglaries seem to peak during the summer season.

In the month of July 2015, the normally peaceful Germantown made news with a spate of crimes, ranging from burglaries to robberies at gunpoint. An elderly couple was robbed at gunpoint inside their own home in the month of January. In a similar incident, but this time inside a gated community, an elderly couple was robbed of their precious jewelry and hard-earned money. In another case, a burglary was reported by a 13-year-old girl who happened to be home when two burglars broke in. She had the presence of mind to hide in the closet and call her dad on the phone. Police are investigating all these cases.

It is no wonder that the news of all this has led to a sharp increase in the sales of alarm systems. Nobody wants to feel unsafe inside their own home. Nobody should feel insecure about leaving their home and going out for work, fun, and leisure. A Home security system can give you much needed peace of mind, whether you are sleeping at home at night or away from home during the day.

While the law enforcement agencies are diligently doing their duty, homeowners would be helping them make our city safer by installing a Nashville alarm system in their homes. Statistics show that home security systems can deter burglars and other criminals from entering homes. Even if they do enter, Nashville alarm systems can make them drop their plans and leave without taking any of your valuables. Home security systems can also help the police apprehend the culprits before they get very far, as the alarms will go off and notify whoever you have listed.

Home security systems are easy to install and operate. With state-of-the-art technology that enables the system to get connected to your phone or tablet, either to your cellular data plan or the Internet, you can be sure of having your home under 24-hour surveillance no matter where you are. With smart features like pet immune motion detectors, smoke detectors, key fob, etc., you are just one step away from protecting your home from criminal minds.

[Attached: data records]
(1)
ScGa2: optimized geometry, r²SCAN.

Output
calculated total energy = -72.0 eV for the cell shown
calculated density = 5.76 g/cm3
SG = P2/m

a = 4.0851 Å, b = 4.1147 Å, c = 6.6362 Å
α = 90.00°, β = 107.76°, γ = 90.00°
With the nearest neighbours (Å) after each atom.
Atoms (fractional coordinates):
Sc1 0.1529 0.0000 0.3058  10 Ga 2.81-2.98
Sc2 0.8472 0.0000 0.6942  10 Ga 2.81-2.98
Ga1 0.0000 0.5000 0.0000  4 Sc 2.82, 8 Ga 2.90-3.03
Ga2 0.3233 0.5000 0.6464  6 Ga 2.75-3.04, 6 Sc 2.91-2.98
Ga3 0.5000 0.0000 0.0000  4 Sc 2.81-2.82, 8 Ga 2.90-3.04
Ga4 0.6767 0.5000 0.3536  6 Ga 2.75-3.04, 6 Sc 2.91-2.98

=====

(2)
Sc3Ga: optimized geometry, r²SCAN.

Output
calculated total energy = -94.3 eV for the cell shown
calculated density = 4.01 g/cm3
SG = P6_3/mmc

a = 6.2255 Å, b = 6.2255 Å, c = 5.0470 Å
α = 90.00°, β = 90.00°, γ = 120.00°
With the nearest neighbours (Å) after each atom.
Atoms (fractional coordinates):
Sc1 0.1718 0.3437 0.2500  8 Sc 3.02-3.21, 4 Ga 3.07-3.11
Sc2 0.1718 0.8282 0.2500  8 Sc 3.02-3.21, 4 Ga 3.07-3.11
Sc3 0.3437 0.1718 0.7500  8 Sc 3.02-3.21, 4 Ga 3.07-3.11
Sc4 0.6563 0.8282 0.2500  8 Sc 3.02-3.21, 4 Ga 3.07-3.11
Sc5 0.8282 0.1718 0.7500  8 Sc 3.02-3.21, 4 Ga 3.07-3.11
Sc6 0.8282 0.6563 0.7500  8 Sc 3.02-3.21, 4 Ga 3.07-3.11
Ga1 0.3333 0.6667 0.7500  12 Sc 3.07-3.11
Ga2 0.6667 0.3333 0.2500  12 Sc 3.07-3.11

=====

(3)
Sc3Ga2: optimized geometry, r²SCAN.

Output
calculated total energy = -482.1 eV for the cell shown
calculated density = 4.46 g/cm3
SG = I4/mcm

a = 10.3467 Å, b = 10.3467 Å, c = 10.3467 Å
α = 116.85°, β = 116.85°, γ = 95.55°
With the nearest neighbours (Å) after each atom.
Atoms (fractional coordinates):
Sc1 0.0677 0.9304 0.2702  6 Ga 2.76-3.07
Sc2 0.0696 0.3398 0.1373  6 Ga 2.76-3.07
Sc3 0.1469 0.6469 0.5000  4 Ga 2.73-2.81, 1 Sc 2.87
Sc4 0.1602 0.4304 0.8627  6 Ga 2.76-3.07
Sc5 0.1696 0.3304 0.5000  2 Ga 2.78
Sc6 0.2025 0.9323 0.8627  6 Ga 2.76-3.07
Sc7 0.2975 0.1602 0.7298  6 Ga 2.76-3.07
Sc8 0.3304 0.8304 0.1607  2 Ga 2.78
Sc9 0.3398 0.2025 0.2702  6 Ga 2.76-3.07
Sc10 0.3531 0.8531 0.5000  4 Ga 2.73-2.81, 1 Sc 2.87
Sc11 0.4304 0.5677 0.2702  6 Ga 2.76-3.07
Sc12 0.4323 0.7025 0.8627  6 Ga 2.76-3.07
Sc13 0.5677 0.2975 0.1373  6 Ga 2.76-3.07
Sc14 0.5696 0.4323 0.7298  6 Ga 2.76-3.07
Sc15 0.6469 0.1469 0.5000  4 Ga 2.73-2.81, 1 Sc 2.87
Sc16 0.6602 0.7975 0.7298  6 Ga 2.76-3.07
Sc17 0.6696 0.1696 0.8393  2 Ga 2.78
Sc18 0.7025 0.8398 0.2702  6 Ga 2.76-3.07
Sc19 0.7975 0.0677 0.1373  6 Ga 2.76-3.07
Sc20 0.8304 0.6696 0.5000  2 Ga 2.78
Sc21 0.8398 0.5696 0.1373  6 Ga 2.76-3.07
Sc22 0.8531 0.3531 0.5000  4 Ga 2.73-2.81, 1 Sc 2.87
Sc23 0.9304 0.6602 0.8627  6 Ga 2.76-3.07
Sc24 0.9323 0.0696 0.7298  6 Ga 2.76-3.07
Ga1 0.0000 0.0000 0.0000  8 Sc 3.00
Ga2 0.0230 0.8765 0.5000  1 Ga 2.64, 6 Sc 2.78-2.94
Ga3 0.1182 0.6182 0.7365  6 Sc 2.73-2.76
Ga4 0.1235 0.6235 0.1465  1 Ga 2.64, 6 Sc 2.78-2.94
Ga5 0.2500 0.2500 0.0000  8 Sc 2.81
Ga6 0.3765 0.5230 0.5000  1 Ga 2.64, 6 Sc 2.78-2.94
Ga7 0.3818 0.1182 0.5000  6 Sc 2.73-2.76

Protect Your Family with the Most Affordable Nashville Alarm Systems

by Flex Alarms

Home security systems in Nashville represent an almost mandatory necessity for every place. Fortunately, they’re not very expensive and they’re quite easy to install and maintain, as long as you pick the right professionals for this job.

You Can’t Put a Price on Your Family’s Safety

You’ve most certainly heard this before, from various sales agents who tried to push on you all sorts of fancy alarm systems. Your family’s safety is the most important thing in the world, and you cannot evaluate it in monetary terms. And, of course, that’s entirely true. But something else is also true: in the past years, thanks to the rapid improvements in technology and in changes on how data is transmitted over long distances, the price of alarm systems has decreased considerably. Within the space of a few years, security systems went from subscriptions ranging of around $60/months to the ones that start as low as $15/month. While your family safety is still on the first place, there’s no reason to pay more for the same service you could be getting elsewhere for less.

You Can Make Savings Elsewhere

The effective, and yet affordable Nashville alarm systems offer you more than one way of saving up some of your hard earned cash. One of the biggest advantages is the reduction you can obtain on your homeowner’s insurance. Each situation is different, of course, but most insurers are willing to negotiate a reduction of 10-12% for homes that have recently installed home security systems in Nashville. That adds up over the years, so it’s an opportunity you don’t want to miss.

A good, affordable alarm system should be able to provide you with the flexibility you need. There’s no need to purchase all the equipment up front, if you don’t want to. Also, the best companies that offer home security systems in Nashville also offer the possibility to ingrate your old, existing alarm system, thus providing the potential for additional savings. Of course, not all of the older systems can be integrated, but, if your provider doesn’t at least make an effort, perhaps you should take your business elsewhere.

Is Nashville More Violent than Other US Cities?

Nashville is a great place to live, and we wouldn’t trade it for the world. However, we have to accept it has its drawbacks, the rate of violent crimes being one of the worst. Unfortunately, it has been repeatedly proven that Nashville is one of the least safe cities in the country. Good alarm systems will go a long way in ensuring your protection in a place that’s safer than only 8% of other places within the United States. Thanks to the great work of the Metro police, the murder rate is at a historic low, but it’s still higher than the national average, which remains a worrisome fact.

Don’t let the fate of your family become the next piece of television news. Sleep tight in this beautiful, but agitated city by getting one of the top home security systems in Nashville. It won’t break your budget, but it will bring you some much-deserved peace of mind.

Step into the World of Tomorrow with the Latest Nashville Alarm Systems

by Flex Alarms

Most people cannot live without their mobile phones. Scientists keep coming up with all sorts of names to describe this modern addiction – but, let’s face it, this is not a simple addiction: smart phones are just useful, they have improved our lives considerably. And now, they’ve taken one step further, by integrating information about the security of your own home, with the latest Nashville alarm systems.

It’s All Mobile Today

If you’ve gotten used to the old and bulky alarm systems, it’s time for an upgrade. Everything has gone mobile in the recent years, so how could the home security systems in Nashville be left behind? Indeed, the Nashville alarm systems are now connected to your mobile phone, so you can be at ease, wherever you are, knowing at all times what’s going on in your home.

You can customize the home security systems in Nashville so that you receive the information directly via your cell phone or by using your Internet connection, so that you won’t even need to keep your old landline phone around.

Of course, if you’re that type of person who prefers the tested and trusted low-tech values, you can still benefit from the great technology, even if you don’t own a smart phone. The home security systems in Nashville can be set up to work as they’ve always done, and you can interact with them via a touchpad on the wall (a great solution for senior citizens, definitely worth considering if you’re worried about the safety of your parents or grandparents). The integration with your cell phone is a very nice feature to have, but, if you’re not the type to use it, you don’t have to, and you can still benefit from all the advantages brought by these great new systems.

With the Latest Nashville Alarm Systems, You Avoid Becoming a Statistic

The unfortunate reality is that Nashville is a violent place. The burglary rate is close to 9 out of 1,000 homes (which the national average is at around 6), and the theft rate is close to 30 out of 1,000 (and the national average is 18). On every square mile of Nashville, there are 64 crimes going on – at national level, this figure is of only 37.

Let’s face it, these odds don’t look very good. If you look at the data for extremely violent crimes, it’s bad enough to keep you awake at night: the rates of rape and robbery are double the national median values, while those of assault are more than double (over 7 in Nashville, compared to 2 on average).

Of course, that’s not to say Nashville is a bad place to live, quite to the contrary. We love it, and we know you do, too. But you want to stay safe here, and you want to protect your family, so it’s best to be realistic and keep your eyes open for the best case scenario. The latest and most modern Nashville alarm systems will prevent you from becoming one of these unfortunate statistics.